Brief >
Search the listing further below for the word "angles" and repeat each line that has it.

Source >
w | ## Nb4Cr7Si8 (GGA-PBE)

Data for a relaxed Nb4Cr7Si8 crystal.

Summary:
Space group: Pnma (62)
Spin magnetization in μB/f.u.: 3.1

a b c (Å): 13.231 4.860 15.917
angles (deg): 90.00 90.00 90.00
Fractional positions:
Nb (0.042, 0.250, 0.092)
Nb (0.068, 0.750, 0.198)
Nb (0.133, 0.250, 0.542)
Nb (0.249, 0.250, 0.973)
Nb (0.251, 0.750, 0.473)
Nb (0.367, 0.750, 0.042)
Nb (0.432, 0.250, 0.698)
Nb (0.458, 0.750, 0.592)
Nb (0.542, 0.250, 0.408)
Nb (0.568, 0.750, 0.302)
Nb (0.633, 0.250, 0.958)
Nb (0.749, 0.250, 0.527)
Nb (0.751, 0.750, 0.027)
Nb (0.867, 0.750, 0.458)
Nb (0.932, 0.250, 0.802)
Nb (0.958, 0.750, 0.908)
Cr (0.061, 0.508, 0.379)
Cr (0.061, 0.992, 0.379)
Cr (0.127, 0.750, 0.996)
Cr (0.136, 0.750, 0.655)
Cr (0.137, 0.509, 0.824)
Cr (0.137, 0.991, 0.824)
Cr (0.189, 0.250, 0.249)
Cr (0.311, 0.750, 0.749)
Cr (0.363, 0.009, 0.324)
Cr (0.363, 0.491, 0.324)
Cr (0.364, 0.250, 0.155)
Cr (0.373, 0.250, 0.496)
Cr (0.439, 0.008, 0.879)
Cr (0.439, 0.492, 0.879)
Cr (0.561, 0.508, 0.121)
Cr (0.561, 0.992, 0.121)
Cr (0.627, 0.750, 0.504)
Cr (0.636, 0.750, 0.845)
Cr (0.637, 0.509, 0.676)
Cr (0.637, 0.991, 0.676)
Cr (0.689, 0.250, 0.251)
Cr (0.811, 0.750, 0.751)
Cr (0.863, 0.009, 0.176)
Cr (0.863, 0.491, 0.176)
Cr (0.864, 0.250, 0.345)
Cr (0.873, 0.250, 0.004)
Cr (0.939, 0.008, 0.621)
Cr (0.939, 0.492, 0.621)
Si (0.003, 0.250, 0.252)
Si (0.050, 0.750, 0.518)
Si (0.051, 0.250, 0.933)
Si (0.087, 0.250, 0.698)
Si (0.209, 0.750, 0.307)
Si (0.216, 0.502, 0.119)
Si (0.216, 0.998, 0.119)
Si (0.226, 0.250, 0.397)
Si (0.274, 0.750, 0.897)
Si (0.284, 0.002, 0.619)
Si (0.284, 0.498, 0.619)
Si (0.291, 0.250, 0.807)
Si (0.413, 0.750, 0.198)
Si (0.449, 0.750, 0.433)
Si (0.450, 0.250, 0.018)
Si (0.497, 0.750, 0.752)
Si (0.503, 0.250, 0.248)
Si (0.550, 0.750, 0.982)
Si (0.551, 0.250, 0.567)
Si (0.587, 0.250, 0.802)
Si (0.709, 0.750, 0.193)
Si (0.716, 0.502, 0.381)
Si (0.716, 0.998, 0.381)
Si (0.726, 0.250, 0.103)
Si (0.774, 0.750, 0.603)
Si (0.784, 0.002, 0.881)
Si (0.784, 0.498, 0.881)
Si (0.791, 0.250, 0.693)
Si (0.913, 0.750, 0.302)
Si (0.949, 0.750, 0.067)
Si (0.950, 0.250, 0.482)
Si (0.997, 0.750, 0.748)

=====

x | ## Nb4Cr7Si8 (GGA-PBE)

Data for a relaxed Nb4Cr7Si8 crystal.

Summary:
Space group: Pnma (62)
Spin magnetization in μB/f.u.: 1.0

a b c (Å): 13.231 4.855 15.810
angles (deg): 90.00 90.00 90.00
Fractional positions:
Nb (0.065, 0.250, 0.195)
Nb (0.121, 0.250, 0.995)
Nb (0.134, 0.750, 0.542)
Nb (0.247, 0.250, 0.473)
Nb (0.253, 0.750, 0.973)
Nb (0.366, 0.250, 0.042)
Nb (0.379, 0.750, 0.495)
Nb (0.435, 0.750, 0.695)
Nb (0.565, 0.250, 0.305)
Nb (0.621, 0.250, 0.505)
Nb (0.634, 0.750, 0.958)
Nb (0.747, 0.250, 0.027)
Nb (0.753, 0.750, 0.527)
Nb (0.866, 0.250, 0.458)
Nb (0.879, 0.750, 0.005)
Nb (0.935, 0.750, 0.805)
Cr (0.048, 0.750, 0.095)
Cr (0.059, 0.011, 0.377)
Cr (0.059, 0.489, 0.377)
Cr (0.135, 0.250, 0.655)
Cr (0.136, 0.010, 0.824)
Cr (0.136, 0.490, 0.824)
Cr (0.188, 0.750, 0.250)
Cr (0.312, 0.250, 0.750)
Cr (0.364, 0.510, 0.324)
Cr (0.364, 0.990, 0.324)
Cr (0.365, 0.750, 0.155)
Cr (0.441, 0.511, 0.877)
Cr (0.441, 0.989, 0.877)
Cr (0.452, 0.250, 0.595)
Cr (0.548, 0.750, 0.405)
Cr (0.559, 0.011, 0.123)
Cr (0.559, 0.489, 0.123)
Cr (0.635, 0.250, 0.845)
Cr (0.636, 0.010, 0.676)
Cr (0.636, 0.490, 0.676)
Cr (0.688, 0.750, 0.250)
Cr (0.812, 0.250, 0.750)
Cr (0.864, 0.510, 0.176)
Cr (0.864, 0.990, 0.176)
Cr (0.865, 0.750, 0.345)
Cr (0.941, 0.511, 0.623)
Cr (0.941, 0.989, 0.623)
Cr (0.952, 0.250, 0.905)
Si (0.004, 0.750, 0.248)
Si (0.049, 0.250, 0.518)
Si (0.055, 0.750, 0.938)
Si (0.090, 0.750, 0.698)
Si (0.209, 0.250, 0.305)
Si (0.215, 0.503, 0.122)
Si (0.215, 0.997, 0.122)
Si (0.221, 0.750, 0.395)
Si (0.279, 0.250, 0.895)
Si (0.285, 0.003, 0.622)
Si (0.285, 0.497, 0.622)
Si (0.291, 0.750, 0.805)
Si (0.410, 0.250, 0.198)
Si (0.445, 0.250, 0.438)
Si (0.451, 0.750, 0.018)
Si (0.496, 0.250, 0.748)
Si (0.504, 0.750, 0.252)
Si (0.549, 0.250, 0.982)
Si (0.555, 0.750, 0.562)
Si (0.590, 0.750, 0.802)
Si (0.709, 0.250, 0.195)
Si (0.715, 0.503, 0.378)

Outcome >
angles (deg): 90.00 90.00 90.00
angles (deg): 90.00 90.00 90.00